Teaching Textbooks 4.0 (review)

Disclosure: I received this complimentary product through the Homeschool Review Crew.

Someone pasted crystal structures at this point:
=====
CaLaOs: optimized geometry, PBE.

a = 4.8513 Å, b = 4.8513 Å, c = 3.6378 Å
α = 90.00°, β = 90.00°, γ = 120.00°
Space group P3m1 (No. 156)
Inequivalent atoms, fractional coordinates:
Ca (0.0000, 0.0000, 0.0000) (multiplicity 1)
La (0.6667, 0.3333, 0.4649) (multiplicity 1)
Os (0.3333, 0.6667, 0.6484) (multiplicity 1)

Calculated values
total magnetization: 0.00 μB per cell
formation energy from the elements: 0.97 eV per formula unit
polymorph energy (0 for the lowest one): 70 kJ/mol of formula units

PmYMgPa: optimized geometry, PBE.

a = 7.684 Å, b = 7.684 Å, c = 7.684 Å
α = 90.00°, β = 90.00°, γ = 90.00°
Space group F-43m (No. 216)
Inequivalent atoms, fractional coordinates:
Pm (0.000, 0.000, 0.000) (multiplicity 4)
Y (0.000, 0.000, 0.500) (multiplicity 4)
Mg (0.250, 0.250, 0.250) (multiplicity 4)
Pa (0.250, 0.250, 0.750) (multiplicity 4)

Calculated values
total magnetization: 0.03 μB per cell
formation energy from the elements: 1.38 eV per formula unit

KZn2Hg: optimized geometry, PBE.

a = 3.497 Å, b = 4.969 Å, c = 6.370 Å
α = 90.00°, β = 98.67°, γ = 90.00°
Space group P2/m (No. 10)
Inequivalent atoms, fractional coordinates:
K (0.000, 0.000, 0.000) (multiplicity 1)
Zn (0.335, 0.500, 0.674) (multiplicity 2)
Hg (0.500, 0.000, 0.500) (multiplicity 1)

Calculated values
total magnetization: 0.00 μB per cell
formation energy from the elements: 0.36 eV per formula unit

Pu3ZnPt2: optimized geometry, PBE.

a = 4.794 Å, b = 3.826 Å, c = 7.529 Å
α = 90.00°, β = 108.41°, γ = 90.00°
Space group P2/m (No. 10)
Inequivalent atoms, fractional coordinates:
Pu (0.000, 0.000, 0.000) (multiplicity 1)
Pu (0.321, 0.000, 0.641) (multiplicity 2)
Zn (0.500, 0.500, 0.000) (multiplicity 1)
Pt (0.151, 0.500, 0.302) (multiplicity 2)

Calculated values
total magnetization: 16.67 μB per cell
formation energy from the elements: -3.09 eV per formula unit

SbTe2HRh: optimized geometry, PBE.

a = 5.370 Å, b = 5.370 Å, c = 5.023 Å
α = 90.00°, β = 90.00°, γ = 90.00°
Space group P4/mmm (No. 123)
Inequivalent atoms, fractional coordinates:
Sb (0.000, 0.000, 0.000) (multiplicity 1)
Te (0.000, 0.500, 0.500) (multiplicity 2)
H (0.500, 0.500, 0.000) (multiplicity 1)
Rh (0.000, 0.000, 0.500) (multiplicity 1)

Calculated values
total magnetization: 1.26 μB per cell
polymorph energy (0 for the lowest one): 72 kJ/mol of formula units

MnZn2As2: optimized geometry, PBE.

a = 6.772 Å, b = 6.772 Å, c = 3.809 Å
α = 90.00°, β = 90.00°, γ = 90.00°
Space group P4/mbm (No. 127)
Inequivalent atoms, fractional coordinates:
Mn (0.000, 0.000, 0.000) (multiplicity 2)
Zn (0.140, 0.360, 0.500) (multiplicity 4)
As (0.172, 0.672, 0.000) (multiplicity 4)

Calculated values
total magnetization: 6.29 μB per cell
formation energy from the elements: 0.62 eV per formula unit


No. 1
# Sr2Tl2Au | Alexandria via LeMat-Bulk | GGA-PBE | relaxed
data_Sr2Tl2Au
_cell_length_a 4.3686
_cell_length_b 6.4968
_cell_length_c 12.1968
_cell_angle_alpha 93.02
_cell_angle_beta 79.68
_cell_angle_gamma 70.35
=====

For the past several months, my teenagers have been using the Teaching Textbooks Math 4.0 apps on the iPad for their math. The Teaching Textbooks apps are easy to download and sign in to, and each grade level gets its own app. If you’re short on space on your device this could be problematic, but otherwise I think it’s a benefit. There’s no trouble having students working on different levels having to sign each other in and out in order to do their lessons. Simply download the app, sign in using the parent account, add your student, then assign them a username and password. Each day, they have to enter their own password, but they shouldn’t need to sign in to the main account each time. (Ballet Boy had some issues and had to get my log in many times, but I don’t think that’s normal. Scorpion didn’t have the same issue at all.) Here are my boys’ thoughts on the program.

From Scorpion (Math 7):

Teaching Textbooks 4.0 Grade 7 is a program that starts with a video that explains the lesson. The videos are very clear, and last about 5 minutes. After that, there are the lesson portion, which is just a series of questions and problems to solve. If you get a question wrong, there is an option that says “watch solution,” which allows you to see exactly how and why you got the problem wrong. This helps you to remember in the future and get similar problems correct next time.

Topics that I’ve covered so far have been mostly the normal addition, subtraction, multiplication, and division. But I’ve also moved forward into some more advanced division as well. Later lessons have shown me ways to break up some of the harder division problems in order to solve problems quicker.

Math 7 is an excellent math program for any middle schooler (or a high schooler who is behind and/or needs a refresher course). I have tried a lot of different math programs, and Teaching Textbooks has worked really well for me personally. I like the “app” format because I spend a lot of time on my iPad anyway. It’s really easy to find what I need and move forward in the next lesson. It keeps my spot, so I never have to try to remember where to pick up. Signing in is super easy, too. The app keeps our family login all the time, so I just have to type in my student password each day. This makes it really quick to get going. I’m glad to have this math for my main curriculum.

-- Someone pasted records of crystals at this point --
A plane-wave DFT calculation with PBE+U was carried out for a geometry-optimized Ca2MnF structure.

Results
Its calculated total energy is -70.42 eV/cell. The distance to the lowest polymorph of the same formula comes out at 0 meV per atom. The density of states at the Fermi level is 15.8 states/eV per cell. Its space-group type is I-42d (122).

Cell: 7.2048 7.2048 8.2901 Å, 90.00 90.00 90.00°
Element x y z (fractional)
Ca: 0.1398 0.2500 0.1250
Ca: 0.2500 0.6398 0.3750
Ca: 0.2500 0.8602 0.8750
Ca: 0.3602 0.2500 0.6250
Ca: 0.6398 0.7500 0.6250
Ca: 0.7500 0.1398 0.8750
Ca: 0.7500 0.3602 0.3750
Ca: 0.8602 0.7500 0.1250
Mn: 0.0000 0.0000 0.5000
Mn: 0.0000 0.5000 0.7500
Mn: 0.5000 0.0000 0.2500
Mn: 0.5000 0.5000 0.0000
F: 0.0000 0.0000 0.0000
F: 0.0000 0.5000 0.2500
F: 0.5000 0.0000 0.7500
F: 0.5000 0.5000 0.5000

* * * * *

# 1
DFT (GGA-PBE) results for HfMg14Fe after structural relaxation.

a = 6.3371 Å, b = 6.3371 Å, c = 10.1272 Å
α = 90.00°, β = 90.00°, γ = 122.14°
Each line ends with the local moment (μB).
Element x y z (fractional)
Mg 0.3351 0.1711 0.0000  0.00
Mg 0.1646 0.3316 0.2600  -0.01
Mg 0.8315 0.6834 0.5000  -0.01
Mg 0.6788 0.3212 0.7281  -0.01
Mg 0.3166 0.1685 0.5000  -0.01
Mg 0.3337 0.6663 0.0000  -0.01
Hf 0.3236 0.6764 0.5000  -0.25
Mg 0.6684 0.8354 0.7400  -0.01
Mg 0.1646 0.3316 0.7400  -0.01
Mg 0.1706 0.8294 0.2477  0.00
Mg 0.8289 0.6649 0.0000  0.00
Mg 0.6788 0.3212 0.2719  -0.01
Mg 0.1706 0.8294 0.7523  0.00
Mg 0.6684 0.8354 0.2600  -0.01
Mg 0.8316 0.1684 0.0000  0.00
Fe 0.8342 0.1658 0.5000  2.54

Properties
- spin magnetization (μB per cell) = 1.857
- calculated formation energy (eV/atom) = 0.10
- theoretical density (Mg/m³) = 2.8
- relative energy among the computed polymorphs (eV/atom) = 0.000
- space-group type = Amm2


# 2
DFT (GGA-PBE) results for SmS6I2 after structural relaxation.

a = 4.5004 Å, b = 8.7913 Å, c = 9.1594 Å
α = 116.54°, β = 93.17°, γ = 93.35°
Each line ends with the local moment (μB).
Element x y z (fractional)
S 0.9108 0.2907 0.5358  0.16
S 0.1303 0.2993 0.3009  0.07
S 0.8697 0.7007 0.6991  0.07
I 0.4943 0.8597 0.1417  0.01
S 0.9191 0.4920 0.2763  0.00
I 0.5057 0.1403 0.8583  0.01
Sm 0.0000 0.0000 0.0000  0.03
S 0.0809 0.5080 0.7237  0.00
S 0.0892 0.7093 0.4642  0.16

Properties
- spin magnetization (μB per cell) = 0.874
- energy relative to the elements, uncorrected (kJ per mole of atoms) = -39.69
- theoretical density (Mg/m³) = 3.1
- space-group type = P-1


# 3
DFT (GGA-PBE) results for Ce2NdSi after structural relaxation.

a = 4.8495 Å, b = 4.5452 Å, c = 4.5452 Å
α = 90.00°, β = 90.00°, γ = 90.00°
Each line ends with the local moment (μB).
Element x y z (fractional)
Si 0.5000 0.0000 0.0000  -0.01
Nd 0.5000 0.5000 0.5000  0.04
Ce 0.0000 0.0000 0.5000  0.49
Ce 0.0000 0.5000 0.0000  0.49

Properties
- spin magnetization (μB per cell) = 1.258
- energy relative to the elements, uncorrected (kJ per mole of atoms) = -26.72
- theoretical density (Mg/m³) = 7.5

From Ballet Boy (Algebra I):

Teaching Textbooks 4.0 Algebra I is a great program for people who learn like me. I’m normally terrible at watching a video and then doing questions. The thing I love about this program is it’s a lot more interactive than others I’ve done in the past. Each video walks you through the problems step by step but you have to type in the answers; it’s not just the teacher solving them for you. It then gives you about 20 questions and they run them the exact same as the ones you solved in the lesson so it’s more of the same instead of watching someone be good at math and then being given a page of homework and told to do it in an hour. All in all a great program. Five stars.

Back to Mom:

You can see that both boys have really enjoyed working on this program, and that’s really saying something because they each have different strengths. Ballet Boy is definitely a math kid. His main struggle has been finding a program that works for him, not the math itself. We’ve found that with Teaching Textbooks. Scorpion, on the other hand, has always been more of a literature kid – he’s struggled with math for as long as I can remember (which is why he’s 14 and doing 7th Grade math). But it looks like we may have found a good fit for him as well (famous last words, right?). I never have to harp on the kids to work on their math now, though. In fact, they like it so well that they wake up and dive right in. They’re always done with it by the time I see them for the first time in the morning.

• Between two parts of the article: data records:
/*
A geometry-optimized CoPdS2O structure, computed with PBE with a Hubbard U.

Properties
Calculated total energy   -0.3085 Ry per atom

abc: 4.5786 3.6092 4.5786
angles: 90.00 90.00 90.00
With the nearest neighbours (Å) after each atom.
Element x y z (fractional)
S (0.0000, 0.0000, 0.5000)  2 O 2.29
S (0.5000, 0.0000, 0.0000)  2 O 2.29
Co (0.0000, 0.5000, 0.0000)  2 O 1.80
O (0.0000, 0.0000, 0.0000)  2 Co 1.80
Pd (0.5000, 0.5000, 0.5000)  8 S 2.92, 4 Co 3.24

~~~~~

# 1
Below is a relaxed Sc3TaPd crystal, with properties calculated at the PBE level.

Geometry as POSCAR:
```
Sc3TaPd
1.0
-4.0806 -1.6077 -2.4594
2.5441 0.1724 -4.3339
1.4700 -4.7613 0.6735
Pd Ta Sc
1 1 3
direct
0.5000 0.5000 0.5000
0.0000 0.0000 0.0000
0.0000 0.5000 0.0000
0.0000 0.0000 0.5000
0.5000 0.0000 0.0000
```

total magnetic moment = 0.00 μB per formula unit
space group = No. 221
electronic total energy = -6.481 eV/atom
polymorph energy (0 for the lowest one) = 269 meV/atom
energy of formation = 727.5 meV per atom

# 2
Below is a relaxed PaHg3 crystal, with properties calculated at the PBE level.

Geometry as POSCAR:
```
PaHg3
1.0
5.1304 0.0000 0.0000
0.0000 5.1304 0.0000
-2.5652 -2.5652 3.6385
Hg Pa
3 1
direct
0.7500 0.2500 0.5000
0.2500 0.7500 0.5000
0.5000 0.5000 0.0000
0.0000 0.0000 0.0000
```

total magnetic moment = 0.87 μB per formula unit
space group = No. 139
electronic total energy = -2.516 eV/atom
polymorph energy (0 for the lowest one) = 0 meV/atom
energy of formation = 84.6 meV per atom

# 3
Below is a relaxed Mn2ReHW crystal, with properties calculated at the PBE level.

Geometry as POSCAR:
```
Mn2ReHW
1.0
3.7818 0.0000 0.0000
0.0000 3.7818 0.0000
0.0000 0.0000 3.8962
Mn Re W H
2 1 1 1
direct
0.0000 0.5000 0.0000
0.5000 0.0000 0.0000
0.5000 0.5000 0.5000
0.0000 0.0000 0.5000
0.0000 0.0000 0.0000
```

total magnetic moment = 1.99 μB per formula unit
space group = No. 123
electronic total energy = -9.313 eV/atom

# 4
Below is a relaxed ReAg2Ir crystal, with properties calculated at the PBE level.

Geometry as POSCAR:
```
ReAg2Ir
1.0
-1.6306 5.1622 1.5141
-2.7960 3.2451 -3.6403
0.4008 -4.6253 3.1696
Ag Re Ir
2 1 1
direct
0.7397 0.2397 0.5000
0.0072 0.0072 0.0000
0.2699 0.7699 0.5000
0.4832 0.4832 0.0000
```

total magnetic moment = 0.00 μB per formula unit
space group = No. 44
electronic total energy = -6.139 eV/atom
polymorph energy (0 for the lowest one) = 406 meV/atom
energy of formation = 613.9 meV per atom

# 5
Below is a relaxed KIn2RuPt crystal, with properties calculated at the PBE level.

Geometry as POSCAR:
```
KIn2RuPt
1.0
-0.7120 -4.0288 3.8655
4.3917 1.3383 2.2038
-2.7592 3.6416 3.2872
Ru In Pt K
1 2 1 1
direct
0.5000 0.5000 0.5000
0.0000 0.0000 0.5000
0.5000 0.0000 0.0000
0.0000 0.5000 0.0000
0.0000 0.0000 0.0000
```

total magnetic moment = 2.83 μB per formula unit
space group = No. 123
electronic total energy = -2.473 eV/atom
energy of formation = 1904.8 meV per atom

# 6
*/
• Here the article continues:

We only ever had access to Teaching Textbooks 4.0, but other members of the Homeschool Review Crew are comparing the 3.0 version to the new 4.0 version, so if you’ve used Teaching Textbooks 3.0 and are wondering how the new version is different, I urge you to check out more reviews.
